What to do:
Your job: echo the block further below with every line break kept.

Excerpt:
********
Computed XRD peak list of Sc2GaB2Rh5 for Cu Kα (λ = 1.5418 Å), from a GGA-PBE-relaxed structure.

Most intense lines, 2θ from 15° to 90°, by angle:
two_theta  d/Å  intensity  index
29.0  3.082  40  0 0 1
34.6  2.593  31  3 2 0
36.2  2.481  45  2 1 1
39.8  2.267  66  4 1 0
40.0  2.254  32  2 2 1
42.4  2.133  100  3 1 1
43.3  2.090  46  4 2 0
45.7  1.984  42  3 2 1
49.9  1.826  22  4 1 1
60.0  1.541  20  0 0 2
74.4  1.274  19  4 1 2
78.8  1.215  32  7 1 1

Atomic structure:
```
data_Sc2GaB2Rh5
_cell_length_a 9.3475
_cell_length_b 9.3475
_cell_length_c 3.0817
_cell_angle_alpha 90.00
_cell_angle_beta 90.00
_cell_angle_gamma 90.00
_symmetry_space_group_name_H-M 'P 1'
_symmetry_Int_Tables_number 1
_symmetry_space_group_name_Hall 'P 1'
loop_
_atom_site_label
_atom_site_type_symbol
_atom_site_fract_x
_atom_site_fract_y
_atom_site_fract_z
_atom_site_occupancy
Sc1 Sc 0.1749 0.3251 0.0000 1
Sc2 Sc 0.3251 0.8251 0.0000 1
Sc3 Sc 0.6749 0.1749 0.0000 1
Sc4 Sc 0.8251 0.6749 0.0000 1
Ga1 Ga 0.0000 0.0000 0.0000 1
Ga2 Ga 0.5000 0.5000 0.0000 1
B1 B 0.1247 0.6247 0.0000 1
B2 B 0.3753 0.1247 0.0000 1
B3 B 0.6247 0.8753 0.0000 1
B4 B 0.8753 0.3753 0.0000 1
Rh1 Rh 0.0000 0.5000 0.5000 1
Rh2 Rh 0.0710 0.7834 0.5000 1
Rh3 Rh 0.2166 0.0710 0.5000 1
Rh4 Rh 0.2834 0.5710 0.5000 1
Rh5 Rh 0.4290 0.2834 0.5000 1
Rh6 Rh 0.5000 0.0000 0.5000 1
Rh7 Rh 0.5710 0.7166 0.5000 1
Rh8 Rh 0.7166 0.4290 0.5000 1
Rh9 Rh 0.7834 0.9290 0.5000 1
Rh10 Rh 0.9290 0.2166 0.5000 1
```

=====

Starting from a GGA-PBE-relaxed structure, the powder diffraction line list of Sm6Os2Rh was simulated for Cu Kα X-rays.
No peak broadening, texture or thermal motion is included.

Peak list (10 most intense, 10 to 90 degrees two-theta, in order of rising 2θ)
| Position (°2θ) | I_rel | hkl |
| --- | --- | --- |
| 28.81 | 42 | 1 2 -2 |
| 28.94 | 43 | 2 1 -2 |
| 30.19 | 64 | 0 2 2 |
| 30.50 | 52 | 1 0 2 |
| 30.62 | 70 | 2 1 -3 |
| 32.80 | 100 | 1 2 1 |
| 33.34 | 55 | 1 1 -4 |
| 36.79 | 82 | 0 2 3 |
********

Done:
Computed XRD peak list of Sc2GaB2Rh5 for Cu Kα (λ = 1.5418 Å), from a GGA-PBE-relaxed structure.

Most intense lines, 2θ from 15° to 90°, by angle:
two_theta  d/Å  intensity  index
29.0  3.082  40  0 0 1
34.6  2.593  31  3 2 0
36.2  2.481  45  2 1 1
39.8  2.267  66  4 1 0
40.0  2.254  32  2 2 1
42.4  2.133  100  3 1 1
43.3  2.090  46  4 2 0
45.7  1.984  42  3 2 1
49.9  1.826  22  4 1 1
60.0  1.541  20  0 0 2
74.4  1.274  19  4 1 2
78.8  1.215  32  7 1 1

Atomic structure:
```
data_Sc2GaB2Rh5
_cell_length_a 9.3475
_cell_length_b 9.3475
_cell_length_c 3.0817
_cell_angle_alpha 90.00
_cell_angle_beta 90.00
_cell_angle_gamma 90.00
_symmetry_space_group_name_H-M 'P 1'
_symmetry_Int_Tables_number 1
_symmetry_space_group_name_Hall 'P 1'
loop_
_atom_site_label
_atom_site_type_symbol
_atom_site_fract_x
_atom_site_fract_y
_atom_site_fract_z
_atom_site_occupancy
Sc1 Sc 0.1749 0.3251 0.0000 1
Sc2 Sc 0.3251 0.8251 0.0000 1
Sc3 Sc 0.6749 0.1749 0.0000 1
Sc4 Sc 0.8251 0.6749 0.0000 1
Ga1 Ga 0.0000 0.0000 0.0000 1
Ga2 Ga 0.5000 0.5000 0.0000 1
B1 B 0.1247 0.6247 0.0000 1
B2 B 0.3753 0.1247 0.0000 1
B3 B 0.6247 0.8753 0.0000 1
B4 B 0.8753 0.3753 0.0000 1
Rh1 Rh 0.0000 0.5000 0.5000 1
Rh2 Rh 0.0710 0.7834 0.5000 1
Rh3 Rh 0.2166 0.0710 0.5000 1
Rh4 Rh 0.2834 0.5710 0.5000 1
Rh5 Rh 0.4290 0.2834 0.5000 1
Rh6 Rh 0.5000 0.0000 0.5000 1
Rh7 Rh 0.5710 0.7166 0.5000 1
Rh8 Rh 0.7166 0.4290 0.5000 1
Rh9 Rh 0.7834 0.9290 0.5000 1
Rh10 Rh 0.9290 0.2166 0.5000 1
```

=====

Starting from a GGA-PBE-relaxed structure, the powder diffraction line list of Sm6Os2Rh was simulated for Cu Kα X-rays.
No peak broadening, texture or thermal motion is included.

Peak list (10 most intense, 10 to 90 degrees two-theta, in order of rising 2θ)
| Position (°2θ) | I_rel | hkl |
| --- | --- | --- |
| 28.81 | 42 | 1 2 -2 |
| 28.94 | 43 | 2 1 -2 |
| 30.19 | 64 | 0 2 2 |
| 30.50 | 52 | 1 0 2 |
| 30.62 | 70 | 2 1 -3 |
| 32.80 | 100 | 1 2 1 |
| 33.34 | 55 | 1 1 -4 |
| 36.79 | 82 | 0 2 3 |